Set down the lines below from the one with "-4.70773 -0.56" to the one with "0.09536 0.45" verbatim.

........
Record 1
The following is a quantum chemistry calculation of C27H64Cl2GdN5O11PS4Si as an isolated structure, from the Open Molecules 2025 dataset.

The geometry in XYZ format:
```
116
Properties=species:S:1:pos:R:3:forces:R:3
Gd -1.32845 -0.84139 -1.20797 0.65 -0.51 -0.14
N 0.82095 0.44531 -1.58101 -1.61 -0.62 -0.84
N 1.79784 -0.36505 -2.10703 1.35 -1.98 -0.07
C 2.25494 -0.17818 -3.36522 0.07 -1.04 0.82
N 3.23406 -1.03882 -3.76914 -0.02 -0.16 -0.29
S 1.60050 0.99034 -4.33005 0.03 1.03 -0.80
H 0.63925 1.08534 -2.36926 -0.12 0.57 0.61
H 1.16393 0.82129 -0.71776 0.36 0.96 0.88
H 1.87755 -1.30937 -1.65890 0.38 0.62 -0.46
H 3.21082 -2.00721 -3.40617 0.03 0.81 -0.20
H 3.60482 -0.85619 -4.70773 -0.56 -0.40 0.76
Cl -2.88228 -1.60626 1.17117 -0.45 -0.59 0.58
C -3.94614 -3.09861 1.07054 1.09 1.16 0.01
Cl -5.59675 -2.65470 1.25692 -0.79 -0.02 0.62
H -3.52453 -3.83680 1.72862 -0.28 0.04 0.71
H -3.86456 -3.45373 0.09536 0.45 -0.43 -1.67
C -6.60568 0.19995 -3.78001 -1.76 -0.03 -0.50
C -5.55493 1.16886 -3.33313 0.19 -0.59 -1.17
C -5.55117 1.44242 -1.85807 0.33 -0.18 0.86
C -5.55275 2.40269 -4.22185 0.98 0.19 -0.55
O -4.26878 0.55343 -3.75941 -0.51 0.89 -0.21
P -3.38627 -0.61316 -3.25739 1.62 -1.59 1.28
O -3.66197 -1.01828 -1.79949 0.08 0.17 -0.90
O -1.90708 -0.16415 -3.30457 -0.89 -0.12 0.08
O -3.61201 -1.91418 -4.14089 -0.38 0.73 -0.42
C -3.20643 -2.24978 -5.59091 -0.79 1.32 1.41
C -4.53172 -2.28656 -6.33760 -0.29 -1.03 0.76
C -2.65150 -3.62360 -5.37260 0.63 -0.19 -1.95
C -2.27125 -1.12440 -6.02884 0.95 -0.86 -0.05
H -7.62722 0.64564 -3.66532 0.70 -0.33 0.58
H -6.52507 -0.74589 -3.20535 -0.18 0.38 -0.67
H -6.60816 0.09871 -4.89177 0.60 -0.52 0.83
H -6.57154 1.69942 -1.49320 0.75 0.12 -0.33
H -4.80838 2.24346 -1.67894 -0.55 -0.23 0.27
H -5.20581 0.54437 -1.29517 -0.30 0.61 -0.44
H -6.42460 3.06753 -4.16356 -0.03 -0.54 0.01
H -5.34357 2.04042 -5.28050 -0.42 0.76 1.26
H -4.69103 2.99082 -3.86418 -0.20 0.00 -0.49
H -5.17309 -2.97647 -5.75857 0.19 0.13 -0.32
H -4.41883 -2.73791 -7.33544 -0.05 0.59 0.14
H -5.05966 -1.33930 -6.28113 0.22 0.27 -0.56
H -3.41799 -4.32943 -5.18934 -1.08 -0.46 0.78
H -1.95150 -3.61325 -4.58608 0.93 -0.09 0.95
H -2.20054 -4.07649 -6.26732 0.31 0.60 -0.05
H -2.78938 -0.17604 -6.08156 -0.33 0.21 0.12
H -1.89370 -1.32002 -7.04908 0.06 -0.06 0.48
H -1.44868 -1.01163 -5.27757 -0.50 -0.19 -1.01
C -1.12363 3.15965 -2.39341 -2.36 -0.52 -0.09
N -0.71829 3.29875 -0.97592 -1.43 -0.61 -1.08
C 0.25701 4.32603 -0.76534 -0.37 1.05 -0.24
C -1.35136 2.51323 -0.00688 1.05 0.44 0.49
O -1.85216 1.37642 -0.30893 0.53 1.30 0.30
N -1.33101 2.98854 1.28407 -0.99 -0.63 -1.82
C -1.00571 4.36619 1.70033 -1.03 -0.50 -1.06
C -1.81970 2.11268 2.34959 1.91 1.11 0.73
H -1.38792 4.12486 -2.93397 0.69 -0.64 1.12
H -2.13591 2.61671 -2.37489 1.69 0.35 -0.32
H -0.39458 2.62349 -3.02843 -0.34 0.16 0.41
H 0.88915 4.36985 -1.62783 0.56 -0.34 -0.58
H 0.85344 4.06266 0.07545 0.58 0.19 0.74
H -0.16854 5.36923 -0.71794 0.32 -0.91 0.20
H -1.10953 5.08800 0.84512 0.16 -0.86 1.31
H -0.03041 4.32813 2.14793 0.60 0.47 0.16
H -1.74822 4.59698 2.45487 -0.04 0.36 0.19
H -0.91652 1.69080 2.83311 -0.51 0.14 0.09
H -2.39091 1.32292 1.97499 -0.94 -1.05 -0.71
H -2.40477 2.72516 3.04183 0.05 -0.23 0.01
O -0.51557 -4.81648 -1.24001 0.20 -1.02 1.36
S 0.11231 -3.52892 -1.31998 0.41 -0.65 1.09
O -0.63964 -2.83914 -2.37354 -1.12 3.05 -1.58
O -0.04121 -2.61718 -0.08942 -0.37 -0.21 -1.11
S 2.02844 -3.64292 -1.78762 0.22 -0.04 0.09
C 2.08742 0.58289 6.26133 0.05 -0.06 0.36
C 1.45639 -0.57770 5.48521 0.84 -0.45 -1.10
C 1.58484 -1.90766 6.22087 0.73 -0.72 0.79
C 0.02550 -0.34673 5.09710 -0.96 -0.07 -1.71
O 2.16612 -0.78378 4.22722 0.69 0.74 0.16
Si 3.01315 0.07544 3.05476 -3.13 0.83 -1.41
S 1.71895 1.33404 1.82357 0.48 -0.76 0.66
O 3.78161 -0.97864 2.06524 -0.05 -1.14 0.56
C 4.00094 -2.38422 2.35521 -1.12 -0.35 -0.89
C 5.09815 -2.49699 3.40858 -0.42 0.44 -0.58
C 2.67502 -3.10850 2.64558 -0.93 -0.84 -0.72
C 4.49035 -3.00216 1.07192 1.03 -0.51 -0.83
........

H 3.60482 -0.85619 -4.70773 -0.56 -0.40 0.76
Cl -2.88228 -1.60626 1.17117 -0.45 -0.59 0.58
C -3.94614 -3.09861 1.07054 1.09 1.16 0.01
Cl -5.59675 -2.65470 1.25692 -0.79 -0.02 0.62
H -3.52453 -3.83680 1.72862 -0.28 0.04 0.71
H -3.86456 -3.45373 0.09536 0.45 -0.43 -1.67